Please set down the lines below from the one with "0.576)" to the one with "100.26°," unchanged.

=====
Compound: CaSeS
Source: Alexandria
Functional: PBE-GGA
Structure: optimized geometry

## Properties
Excess energy over the best structure of this formula in the dataset, meV per atom: 76
Fermi-level density of states, states/eV/atom: 0.2513
Space group: No. 6
Spin magnetization, μB per cell: 0.000
Formation energy (no corrections), eV/atom: -1.196

a = 4.345 Å, b = 3.895 Å, c = 4.834 Å
α = 90.00°, β = 110.77°, γ = 90.00°
Element x y z (fractional)
Ca (0.000, 0.000, 0.000)
Se (0.969, 0.500, 0.483)
S (0.523, 0.500, 0.042)

Compound: PrNdTh2
Source: Alexandria
Functional: PBE-GGA
Structure: optimized geometry

## Properties
Formation energy, eV/atom: 0.064
Excess energy over the best structure of this formula in the dataset, meV per atom: 33
Fermi-level density of states, states/eV/atom: 1.7625
Space group: No. 166
Spin magnetization, μB per cell: 0.000

a = 3.622 Å, b = 3.622 Å, c = 35.555 Å
α = 90.00°, β = 90.00°, γ = 120.00°
Element x y z (fractional)
Pr (0.000, 0.000, 0.000)
Pr (0.333, 0.667, 0.667)
Pr (0.667, 0.333, 0.333)
Nd (0.000, 0.000, 0.500)
Nd (0.333, 0.667, 0.167)
Nd (0.667, 0.333, 0.833)
Th (0.000, 0.000, 0.250)
Th (0.000, 0.000, 0.750)
Th (0.333, 0.667, 0.417)
Th (0.333, 0.667, 0.916)
Th (0.667, 0.333, 0.084)
Th (0.667, 0.333, 0.583)

Compound: Ce2NdDy3Te6
Source: Alexandria
Functional: PBE-GGA
Structure: optimized geometry

## Properties
Fermi-level density of states, states/eV/atom: 1.4262
Space group: No. 12
Spin magnetization, μB per cell: 2.581
Formation energy (no corrections), eV/atom: -1.343

a = 9.934 Å, b = 9.934 Å, c = 8.941 Å
α = 104.18°, β = 104.18°, γ = 25.48°
Element x y z (fractional)
Ce (0.167, 0.167, 0.334)
Ce (0.833, 0.833, 0.666)
Nd (0.500, 0.500, 0.000)
Dy (0.165, 0.165, 0.833)
Dy (0.500, 0.500, 0.500)
Dy (0.835, 0.835, 0.167)
Te (0.002, 0.002, 0.743)
Te (0.330, 0.330, 0.923)
Te (0.336, 0.336, 0.410)
Te (0.664, 0.664, 0.590)
Te (0.670, 0.670, 0.077)
Te (0.998, 0.998, 0.257)

Compound: Tb4NdSm2Sc
Source: Alexandria
Functional: PBE-GGA
Structure: optimized geometry

## Properties
Formation energy, eV/atom: 0.031
Fermi-level density of states, states/eV/atom: 1.4240
Space group: No. 123
Spin magnetization, μB per cell: 0.000

a = 5.026 Å, b = 5.026 Å, c = 10.066 Å
α = 90.00°, β = 90.00°, γ = 90.00°
Element x y z (fractional)
Tb (0.000, 0.500, 0.243)
Tb (0.000, 0.500, 0.757)
Tb (0.500, 0.000, 0.243)
Tb (0.500, 0.000, 0.757)
Nd (0.000, 0.000, 0.500)
Sm (0.000, 0.000, 0.000)
Sm (0.500, 0.500, 0.500)
Sc (0.500, 0.500, 0.000)

Compound: SmErSiSe
Source: Alexandria
Functional: PBE-GGA
Structure: optimized geometry

## Properties
Fermi-level density of states, states/eV/atom: 0.3285
Space group: No. 160
Spin magnetization, μB per cell: 0.000
Formation energy (no corrections), eV/atom: -1.288

a = 4.131 Å, b = 4.131 Å, c = 20.525 Å
α = 90.00°, β = 90.00°, γ = 120.00°
Element x y z (fractional)
Sm (0.000, 0.000, 0.000)
Sm (0.333, 0.667, 0.667)
Sm (0.667, 0.333, 0.333)
Er (0.000, 0.000, 0.491)
Er (0.333, 0.667, 0.158)
Er (0.667, 0.333, 0.824)
Si (0.000, 0.000, 0.748)
Si (0.333, 0.667, 0.415)
Si (0.667, 0.333, 0.081)
Se (0.000, 0.000, 0.242)
Se (0.333, 0.667, 0.909)
Se (0.667, 0.333, 0.576)

Compound: Sr3Ge4Rh2
Source: Alexandria
Functional: PBE-GGA
Structure: optimized geometry

## Properties
Formation energy, eV/atom: -0.606
Fermi-level density of states, states/eV/atom: 0.6704
Space group: No. 12
Spin magnetization, μB per cell: 0.000

a = 6.113 Å, b = 6.113 Å, c = 8.961 Å
α = 100.26°, β = 100.26°, γ = 40.64°
Element x y z (fractional)
Sr (0.000, 0.000, 0.000)
Sr (0.383, 0.383, 0.618)
Sr (0.617, 0.617, 0.382)
Ge (0.104, 0.104, 0.674)
Ge (0.294, 0.294, 0.925)
Ge (0.706, 0.706, 0.075)
Ge (0.896, 0.896, 0.326)
Rh (0.312, 0.312, 0.210)
Rh (0.688, 0.688, 0.790)

Compound: InTe
Source: Alexandria
Functional: PBE-GGA
Structure: optimized geometry

## Properties
Fermi-level density of states, states/eV/atom: 0.4588
Space group: No. 176
Spin magnetization, μB per cell: 0.000
=====

Se (0.667, 0.333, 0.576)

Compound: Sr3Ge4Rh2
Source: Alexandria
Functional: PBE-GGA
Structure: optimized geometry

## Properties
Formation energy, eV/atom: -0.606
Fermi-level density of states, states/eV/atom: 0.6704
Space group: No. 12
Spin magnetization, μB per cell: 0.000

a = 6.113 Å, b = 6.113 Å, c = 8.961 Å
α = 100.26°, β = 100.26°, γ = 40.64°